Please note local HD channels may vary according to market, and, availability of channels may depend on your service package. You can sort the channels by number or name by clicking on the table header. Also see a list ofDirecTV Stream HD Channels. ...
DirecTV is currently offering standard-definition local channels to 94 percent of television households in the U.S.Tarr, GregTwice This Week in Consumer Electronics
ENTERTAINMENT (65+ channels), CHOICE (90+ channels), ULTIMATE (130+ channels), and PREMIER (140+ channels). Please note there are more channels in SD (Standard Definition) not listed here. See a complete list ofDirecTV Stream Channels (SD & HD). Looking for DirecTV’s satellite service...
Spaceway F1 is the first of two Ka-band satellites that will launch this year, enabling DIRECTV to broadcast local HD channels into several of the nation’s largest markets. Initially, DIRECTV will begin launching digital and HD local channels in 12 markets this fall allowing customers — wit...
Next to the piece, the page also holds calculated crystals:
┌──
A.
SbAuI2Cl | PBE | optimized geometry

abc: 5.5599 5.5599 5.5234
angles: 90.00 90.00 90.00
Sites, in units of the cell vectors:
I (0.0000, 0.5000, 0.0000)
I (0.5000, 0.0000, 0.0000)
Sb (0.0000, 0.0000, 0.5000)
Au (0.0000, 0.0000, 0.0000)
Cl (0.5000, 0.5000, 0.5000)

## Properties
symmetry: No. 123
ρ: 5.91 g/cm³
crystal system: tetragonal
calculated volume: 170.74 Å³/cell

***

B.
SbAuI2Cl | PBE | optimized geometry

abc: 5.6010 5.6010 5.5879
angles: 90.00 90.00 90.00
Sites, in units of the cell vectors:
I (0.0000, 0.5000, 0.0000)
I (0.5000, 0.0000, 0.0000)
Sb (0.0000, 0.0000, 0.5000)
Au (0.5000, 0.5000, 0.5000)
Cl (0.0000, 0.0000, 0.0000)

## Properties
symmetry: No. 123
ρ: 5.76 g/cm³
crystal system: tetragonal
calculated volume: 175.30 Å³/cell

***

Which structure is the most stable? The one labeled A.

***

A.
TeAuI2Cl | PBE | optimized geometry

abc: 5.6434 5.6434 5.4334
angles: 90.00 90.00 90.00
Sites, in units of the cell vectors:
I (0.0000, 0.5000, 0.0000)
I (0.5000, 0.0000, 0.0000)
Te (0.0000, 0.0000, 0.5000)
Au (0.5000, 0.5000, 0.5000)
Cl (0.0000, 0.0000, 0.0000)

## Properties
symmetry: No. 123
ρ: 5.89 g/cm³
crystal system: tetragonal
calculated volume: 173.04 Å³/cell

***

B.
TeAuI2Cl | PBE | optimized geometry

abc: 5.5711 5.5711 5.6114
angles: 90.00 90.00 90.00
Sites, in units of the cell vectors:
I (0.0000, 0.5000, 0.0000)
I (0.5000, 0.0000, 0.0000)
Te (0.0000, 0.0000, 0.5000)
Au (0.0000, 0.0000, 0.0000)
Cl (0.5000, 0.5000, 0.5000)

## Properties
symmetry: No. 123
ρ: 5.85 g/cm³
crystal system: tetragonal
calculated volume: 174.16 Å³/cell

***

Which structure is the most stable? The one labeled B.

----------

No. 1
Computed, not measured: a relaxed structure of Ag14HgAu at the PBE-GGA level of DFT.

* total magnetic moment: 0.000 μB per atom
* space group: Amm2 (38)
* volume: 291.23 Å³/f.u.
* ΔH_f (0 K): 17 meV per atom

a = 9.5472 Å, b = 5.9338 Å, c = 5.9338 Å
α = 60.04°, β = 90.00°, γ = 90.00°
With the nearest neighbours (Å) after each atom.
Atoms (fractional coordinates):
1 Ag 0.0000 0.9997 0.9997  12 Ag 2.91-2.97
2 Ag 0.0000 0.5000 0.5000  12 Ag 2.92-2.97
3 Ag 0.0000 0.5003 0.9994  12 Ag 2.92-2.97
4 Ag 0.0000 0.9994 0.5003  12 Ag 2.92-2.97
5 Ag 0.2465 0.1655 0.1655  11 Ag 2.91-2.99, 1 Hg 2.97
6 Ag 0.2477 0.1658 0.6689  10 Ag 2.91-2.99, 1 Au 2.95, 1 Hg 2.96
7 Ag 0.2477 0.6689 0.1658  10 Ag 2.91-2.99, 1 Au 2.95, 1 Hg 2.96
8 Ag 0.2494 0.6665 0.6665  11 Ag 2.93-2.97, 1 Au 2.95
9 Ag 0.5000 0.3326 0.8340  8 Ag 2.94-2.98, 2 Au 2.96-2.97, 2 Hg 2.96-2.97
10 Ag 0.5000 0.8340 0.3326  8 Ag 2.94-2.98, 2 Au 2.96-2.97, 2 Hg 2.96-2.97
11 Ag 0.7506 0.6665 0.6665  11 Ag 2.93-2.97, 1 Au 2.95
12 Ag 0.7523 0.1658 0.6689  10 Ag 2.91-2.99, 1 Au 2.95, 1 Hg 2.96
13 Ag 0.7523 0.6689 0.1658  10 Ag 2.91-2.99, 1 Au 2.95, 1 Hg 2.96
14 Ag 0.7535 0.1655 0.1655  11 Ag 2.91-2.99, 1 Hg 2.97
15 Hg 0.5000 0.3330 0.3330  10 Ag 2.96-2.97, 2 Au 2.97
16 Au 0.5000 0.8337 0.8337  10 Ag 2.95-2.97, 2 Hg 2.97

---

No. 2
└──
Back to the piece:
95+ Channels Local channel included in over 99% of the U.S. Professional installation included HD Access included BONUS! First TV Access Fee on us for 24 months $59.99/mo w/ 24-mo. agmt. after Auto Bill Pay discount (subject to change). ...
DIRECTV Support Welcome, DIRECTV® customers Your favorite local channels, sports, news and more With a CenturyLink Internet connection, you can get the most out of your DIRECTV service with features: Manage options and take your TV with you with theDIRECTV app...
In October of 2008, DirecTV announced their intentions to carry HD local channels in 121 TV markets by the end of the year. In December of 2007, DirecTV purchased the majority of ReplayTV’s assets from D&M Holdings. Two years later (2009), the company purchased home services provider, ...
Local channels included† First DIRECTV device included First device available for well-qualified customers. Internet connection required. Satellite customers are subject to equipment non-return fee(s) if equip. not timely returned. DVR service to record your favorite movies and shows Regional Sports...
Local channels included† First DIRECTV device included First device available for well-qualified customers. Internet connection required. Satellite customers are subject to equipment non-return fee(s) if equip. not timely returned. DVR service to record your favorite movies and shows Regional Sports...
onlysatellite televisionprovider to bring local channels to customers in many service areas; in this realm, DISH cannot compete. Many packages bring not only local channels but also regional sports networks, so that sports fans will be able to watch all the broadcasts of their favorite local ...